Wanted >
Find the line further below that holds "0.130 2.125", then quote that line and all lines after it there.

Contents >
<<<
Computed, not measured: a single C22H27N3O3 molecule, with ωB97M-V/def2-TZVPD.

Results
Relative energy (zero: lowest compared OMol25 entry of this formula, charge and spin)   2.162 eV
HOMO level   -8.70 eV
Gap between HOMO and LUMO   0.34844 Ha
E_LUMO   0.785 eV
DFT total energy   -33866.08914 eV

```
55
Properties=species:S:1:pos:R:3:mulliken_charge:R:1
C -2.041 2.017 -3.822 -1.2840
C -0.726 1.597 -3.180 -0.3640
C -0.946 0.624 -2.007 0.1202
O 0.272 0.034 -1.586 -0.1802
C 0.906 -0.889 -2.374 0.2432
C 2.225 -1.167 -2.013 -0.1788
C 2.946 -2.120 -2.701 -0.6377
C 2.370 -2.803 -3.760 -0.5857
C 1.067 -2.520 -4.124 -0.6586
C 0.329 -1.568 -3.440 -0.3247
C -1.529 1.403 -0.820 -0.0080
O -2.710 1.669 -0.752 -0.6664
N -0.588 1.754 0.083 0.1792
C -0.773 2.408 1.305 0.3878
C -1.809 3.308 1.522 -0.4867
C -1.922 3.943 2.746 -0.6271
C -1.008 3.693 3.757 -0.6710
C 0.013 2.781 3.553 -0.0640
C 0.130 2.125 2.337 0.2660
C 1.224 1.132 2.077 -0.0586
O 2.176 1.401 1.360 -0.6663
N 1.080 -0.069 2.677 0.1194
C -0.142 -0.551 3.275 -0.9530
C -0.830 -1.523 2.314 -0.2832
N 0.067 -2.624 2.013 -0.1747
C -0.572 -3.629 1.193 -0.9689
C 1.281 -2.123 1.392 -0.2633
C 1.982 -1.150 2.339 -1.3639
H -2.712 2.432 -3.075 0.3045
H -1.861 2.768 -4.587 0.3956
H -2.532 1.164 -4.284 0.3182
H -0.088 1.106 -3.919 0.4532
H -0.189 2.472 -2.807 0.3296
H -1.681 -0.142 -2.287 0.4265
H 2.662 -0.616 -1.194 0.4871
H 3.966 -2.327 -2.412 0.4143
H 2.935 -3.547 -4.300 0.3934
H 0.610 -3.043 -4.951 0.3910
H -0.686 -1.369 -3.745 0.3606
H 0.348 1.400 -0.085 0.1779
H -2.517 3.498 0.733 0.4687
H -2.726 4.645 2.907 0.3964
H -1.094 4.202 4.705 0.4077
H 0.724 2.569 4.339 0.4647
H 0.114 -1.082 4.198 0.4214
H -0.806 0.281 3.509 0.4609
H -1.130 -0.977 1.399 0.0362
H -1.730 -1.925 2.784 0.5448
H -0.878 -3.242 0.208 0.2774
H -1.455 -4.003 1.710 0.3395
H 0.120 -4.455 1.040 0.3395
H 1.061 -1.608 0.441 0.0340
H 1.940 -2.968 1.181 0.6248
H 2.268 -1.668 3.259 0.3502
H 2.866 -0.720 1.865 0.5348
```

=====

Computed, not measured: a single C22H27N3O4S molecule, with ωB97M-V/def2-TZVPD.

Results
Relative energy (zero: lowest compared OMol25 entry of this formula, charge and spin)   1.118 eV
HOMO level   -8.88 eV
Gap between HOMO and LUMO   0.33984 Ha
E_LUMO   0.372 eV
DFT total energy   -46748.54569 eV

```
57
Properties=species:S:1:pos:R:3:mulliken_charge:R:1
C 3.843 -5.914 -2.289 -1.3275
C 2.554 -5.551 -1.586 0.9023
O 1.741 -6.389 -1.264 -0.6171
N 2.380 -4.222 -1.303 0.1855
C 1.349 -3.705 -0.519 0.0703
C 0.193 -4.330 -0.077 -1.3637
C -0.683 -3.594 0.708 -0.2913
C -0.403 -2.280 1.031 -0.3661
S -1.545 -1.344 2.032 1.4832
O -2.547 -2.217 2.573 -0.7384
O -0.801 -0.518 2.943 -0.7295
N -2.205 -0.284 0.886 0.2229
C -2.977 -0.985 -0.116 -1.0156
C -2.927 0.812 1.509 -1.3889
C -2.885 2.054 0.620 1.0581
O -3.908 2.495 0.124 -0.6592
N -1.680 2.612 0.402 0.1760
C -0.421 2.184 0.959 -0.7223
C -1.597 3.796 -0.440 -1.3380
C -1.277 5.024 0.371 0.4844
C -2.150 5.426 1.376 -0.1288
C -1.867 6.538 2.146 -0.6700
C -0.709 7.264 1.919 -0.3858
C 0.164 6.871 0.920 -0.5540
C -0.117 5.753 0.152 -0.3527
C 0.757 -1.652 0.602 -0.3572
C 1.630 -2.375 -0.176 0.7014
C 2.961 -1.986 -0.745 -1.0315
C 3.247 -3.124 -1.742 -0.2069
C 2.865 -2.700 -3.161 -1.3980
H 3.947 -5.397 -3.238 0.2940
H 3.834 -6.986 -2.467 0.3609
H 4.695 -5.671 -1.658 0.3118
H -0.009 -5.357 -0.329 0.5538
H -1.593 -4.032 1.087 0.5259
H -2.317 -1.675 -0.639 0.2949
H -3.380 -0.261 -0.822 0.3872
H -3.800 -1.549 0.336 0.3609
H -3.982 0.555 1.669 0.3515
H -2.467 1.011 2.479 0.5945
H 0.249 1.881 0.148 0.2305
H 0.041 3.019 1.492 0.3756
H -0.541 1.350 1.642 0.1777
H -0.832 3.634 -1.206 0.4309
H -2.572 3.910 -0.920 0.4021
H -3.054 4.859 1.544 0.4054
H -2.551 6.842 2.924 0.3814
H -0.488 8.134 2.520 0.3765
H 1.069 7.434 0.739 0.3694
H 0.569 5.449 -0.626 0.3239
H 0.952 -0.635 0.899 0.5500
H 2.941 -1.015 -1.237 0.4105
H 3.710 -1.948 0.050 0.3032
H 4.293 -3.434 -1.711 0.4616
H 3.522 -1.903 -3.501 0.3823
H 1.839 -2.340 -3.172 0.3631
H 2.941 -3.530 -3.858 0.3792
```

=====
>>>

Completed >
C 0.130 2.125 2.337 0.2660
C 1.224 1.132 2.077 -0.0586
O 2.176 1.401 1.360 -0.6663
N 1.080 -0.069 2.677 0.1194
C -0.142 -0.551 3.275 -0.9530
C -0.830 -1.523 2.314 -0.2832
N 0.067 -2.624 2.013 -0.1747
C -0.572 -3.629 1.193 -0.9689
C 1.281 -2.123 1.392 -0.2633
C 1.982 -1.150 2.339 -1.3639
H -2.712 2.432 -3.075 0.3045
H -1.861 2.768 -4.587 0.3956
H -2.532 1.164 -4.284 0.3182
H -0.088 1.106 -3.919 0.4532
H -0.189 2.472 -2.807 0.3296
H -1.681 -0.142 -2.287 0.4265
H 2.662 -0.616 -1.194 0.4871
H 3.966 -2.327 -2.412 0.4143
H 2.935 -3.547 -4.300 0.3934
H 0.610 -3.043 -4.951 0.3910
H -0.686 -1.369 -3.745 0.3606
H 0.348 1.400 -0.085 0.1779
H -2.517 3.498 0.733 0.4687
H -2.726 4.645 2.907 0.3964
H -1.094 4.202 4.705 0.4077
H 0.724 2.569 4.339 0.4647
H 0.114 -1.082 4.198 0.4214
H -0.806 0.281 3.509 0.4609
H -1.130 -0.977 1.399 0.0362
H -1.730 -1.925 2.784 0.5448
H -0.878 -3.242 0.208 0.2774
H -1.455 -4.003 1.710 0.3395
H 0.120 -4.455 1.040 0.3395
H 1.061 -1.608 0.441 0.0340
H 1.940 -2.968 1.181 0.6248
H 2.268 -1.668 3.259 0.3502
H 2.866 -0.720 1.865 0.5348
```

=====

Computed, not measured: a single C22H27N3O4S molecule, with ωB97M-V/def2-TZVPD.

Results
Relative energy (zero: lowest compared OMol25 entry of this formula, charge and spin)   1.118 eV
HOMO level   -8.88 eV
Gap between HOMO and LUMO   0.33984 Ha
E_LUMO   0.372 eV
DFT total energy   -46748.54569 eV

```
57
Properties=species:S:1:pos:R:3:mulliken_charge:R:1
C 3.843 -5.914 -2.289 -1.3275
C 2.554 -5.551 -1.586 0.9023
O 1.741 -6.389 -1.264 -0.6171
N 2.380 -4.222 -1.303 0.1855
C 1.349 -3.705 -0.519 0.0703
C 0.193 -4.330 -0.077 -1.3637
C -0.683 -3.594 0.708 -0.2913
C -0.403 -2.280 1.031 -0.3661
S -1.545 -1.344 2.032 1.4832
O -2.547 -2.217 2.573 -0.7384
O -0.801 -0.518 2.943 -0.7295
N -2.205 -0.284 0.886 0.2229
C -2.977 -0.985 -0.116 -1.0156
C -2.927 0.812 1.509 -1.3889
C -2.885 2.054 0.620 1.0581
O -3.908 2.495 0.124 -0.6592
N -1.680 2.612 0.402 0.1760
C -0.421 2.184 0.959 -0.7223
C -1.597 3.796 -0.440 -1.3380
C -1.277 5.024 0.371 0.4844
C -2.150 5.426 1.376 -0.1288
C -1.867 6.538 2.146 -0.6700
C -0.709 7.264 1.919 -0.3858
C 0.164 6.871 0.920 -0.5540
C -0.117 5.753 0.152 -0.3527
C 0.757 -1.652 0.602 -0.3572
C 1.630 -2.375 -0.176 0.7014
C 2.961 -1.986 -0.745 -1.0315
C 3.247 -3.124 -1.742 -0.2069
C 2.865 -2.700 -3.161 -1.3980
H 3.947 -5.397 -3.238 0.2940
H 3.834 -6.986 -2.467 0.3609
H 4.695 -5.671 -1.658 0.3118
H -0.009 -5.357 -0.329 0.5538
H -1.593 -4.032 1.087 0.5259
H -2.317 -1.675 -0.639 0.2949
H -3.380 -0.261 -0.822 0.3872
H -3.800 -1.549 0.336 0.3609
H -3.982 0.555 1.669 0.3515
H -2.467 1.011 2.479 0.5945
H 0.249 1.881 0.148 0.2305
H 0.041 3.019 1.492 0.3756
H -0.541 1.350 1.642 0.1777
H -0.832 3.634 -1.206 0.4309
H -2.572 3.910 -0.920 0.4021
H -3.054 4.859 1.544 0.4054
H -2.551 6.842 2.924 0.3814
H -0.488 8.134 2.520 0.3765
H 1.069 7.434 0.739 0.3694
H 0.569 5.449 -0.626 0.3239
H 0.952 -0.635 0.899 0.5500
H 2.941 -1.015 -1.237 0.4105
H 3.710 -1.948 0.050 0.3032
H 4.293 -3.434 -1.711 0.4616
H 3.522 -1.903 -3.501 0.3823
H 1.839 -2.340 -3.172 0.3631
H 2.941 -3.530 -3.858 0.3792
```

=====